_Activity_
It remains to transcribe every line further below that contains the word "charge".

_Listing_
(1)
C5H8ClNS | the ωB97M-V functional and the def2-TZVPD basis

Computed properties:
Maximum force (hartree/bohr): 0.1241
LUMO (eV): 0.6384
Energy above the lowest of the compared OMol25 structures with the same formula, charge and spin (kcal per mole): 55.26
E (hartree): -1108.3510

Last column: natural (NBO) charge in e.
Element x y z (Å)
Cl  0.152986  0.335942  -2.543146  0.056
S  2.262174  -1.342487  0.462931  -0.004
N  -0.746535  1.365133  0.290902  -0.619
C  0.528604  1.006057  0.137050  -0.047
C  -0.671581  -1.063060  0.019602  -0.469
C  1.026325  0.503712  -1.192414  -0.333
C  0.687502  -0.534431  0.002835  -0.182
C  -1.613364  0.211299  0.138687  -0.219
H  1.390006  1.504539  0.708047  0.230
H  2.157499  0.540014  -1.390200  0.235
H  -2.358017  0.258117  -0.788157  0.204
H  -2.336185  0.361937  1.039974  0.205
H  -0.698773  -1.541117  0.906303  0.221
H  -0.959326  -1.740699  -0.838005  0.230
H  -0.727410  1.762335  1.280590  0.375
H  1.906094  -1.627291  1.765002  0.119

Atoms 1-3, force components in eV/Å:
Cl -2.322 0.111 -3.436
S -1.706 -0.071 0.959
N -2.346 2.765 2.531

(2)
C6H13N2 | the ωB97M-V functional and the def2-TZVPD basis

Computed properties:
Maximum force (hartree/bohr): 0.0799
LUMO (alpha / beta) (eV): -4.1617 / -4.3062
Energy above the lowest of the compared OMol25 structures with the same formula, charge and spin (kcal per mole): 96.72
Total charge: +1
E (hartree): -345.5419

Last column: natural (NBO) charge in e.
Element x y z (Å)
N  1.576443  -0.011759  0.086363  -0.404
N  -0.690235  -0.525778  0.016969  -0.400
C  -1.923664  1.559251  0.346407  -0.684
C  0.562196  -0.842035  0.223281  0.410
C  -1.051745  0.753495  -0.450187  0.061
C  1.276968  1.347336  -0.002404  -0.187
C  2.908089  -0.545721  -0.178550  -0.416
C  -1.670696  -1.659949  0.034634  -0.423
H  1.671801  1.946822  -0.821602  0.236
H  -2.199764  2.407106  -0.248457  0.251
H  0.839800  -1.956832  0.284084  0.228
H  0.814163  1.740125  0.969653  0.225
H  -1.131480  0.864983  -1.558507  0.222
H  -1.592531  1.873830  1.263611  0.232
H  -2.890662  0.951453  0.589991  0.233
H  -1.202531  -2.667223  -0.065401  0.234
H  3.605179  0.302005  -0.383966  0.253
H  3.042312  -1.062029  0.794519  0.232
H  2.833822  -1.327410  -1.015368  0.227
H  -2.499236  -1.498785  -0.776198  0.242
H  -2.278230  -1.648878  0.891118  0.226

Atoms 1-3, force components in eV/Å:
N -1.124 0.391 -0.673
N -0.026 -2.247 0.314
C -3.284 -0.931 -0.873

(3)
C7H34N14O10 | the ωB97M-V functional and the def2-TZVPD basis

Computed properties:
Maximum force (hartree/bohr): 0.1589
LUMO (eV): 0.1250
Energy above the lowest of the compared OMol25 structures with the same formula, charge and spin (kcal per mole): 175.29
E (hartree): -1806.1690

Last column: natural (NBO) charge in e.
Element x y z (Å)
O  -5.820860  23.855280  13.272260  -0.735
O  -3.673300  19.159540  8.337180  -0.680
O  -2.329090  20.938360  14.297850  -0.949
O  -14.519520  23.592270  14.304230  -0.651
O  -2.017270  25.145040  14.555680  -0.946
O  -8.824530  27.700310  14.254770  -0.710
O  -8.856740  27.684670  8.344060  -0.690
O  -10.399620  19.619370  15.110740  -0.671
O  -6.421530  23.019180  18.796530  -0.661
O  -4.181590  17.324580  14.571360  -0.942
N  -6.632770  21.849460  13.617700  -0.815
N  -10.139050  18.286020  16.970020  -0.839
N  -7.572190  29.293500  7.333600  -0.828
N  -4.780590  20.304140  9.830380  -0.814
N  -6.835780  24.682290  20.107870  -0.826
N  -3.649830  18.658970  10.418290  -0.829
N  -11.269140  17.663120  15.367670  -0.815
N  -7.163780  24.916260  17.982970  -0.823
N  -6.748240  28.088610  9.048110  -0.866
N  -13.076950  25.235980  14.333390  -0.839
N  -12.930180  23.756900  12.755440  -0.848
N  -6.796440  28.509450  14.451770  -0.781
N  -8.199320  29.215240  15.803720  -0.814
N  -8.045530  23.344320  13.228860  -0.809
C  -8.001880  28.488450  14.768190  0.731
C  -4.130600  19.290810  9.431190  0.729
C  -7.789110  28.347740  8.216430  0.758
C  -6.811510  23.082410  13.344260  0.740

_Outcome_
Energy above the lowest of the compared OMol25 structures with the same formula, charge and spin (kcal per mole): 55.26
Last column: natural (NBO) charge in e.
Energy above the lowest of the compared OMol25 structures with the same formula, charge and spin (kcal per mole): 96.72
Total charge: +1
Last column: natural (NBO) charge in e.
Energy above the lowest of the compared OMol25 structures with the same formula, charge and spin (kcal per mole): 175.29
Last column: natural (NBO) charge in e.